Data
........
# Li2CaTaBi
Simulated X-ray diffraction stick pattern, Cu Ka. Input: the PBE geometry in Alexandria.
Kinematic intensities with the Lorentz-polarization factor, no thermal factor.

Structure:
```
data_Li2CaTaBi
_cell_length_a 5.1222
_cell_length_b 5.1222
_cell_length_c 6.0421
_cell_angle_alpha 90.00
_cell_angle_beta 90.00
_cell_angle_gamma 90.00
_symmetry_space_group_name_H-M 'P 4/m m m'
_symmetry_Int_Tables_number 123
_symmetry_space_group_name_Hall '-P 4 2'
loop_
_atom_site_label
_atom_site_type_symbol
_atom_site_fract_x
_atom_site_fract_y
_atom_site_fract_z
_atom_site_occupancy
Li1 Li 0.0000 0.5000 0.0000 1
Ca1 Ca 0.0000 0.0000 0.5000 1
Ta1 Ta 0.5000 0.5000 0.5000 1
Bi1 Bi 0.0000 0.0000 0.0000 1
```

Most intense lines, 10 to 80 degrees two-theta, sorted by position:
| two_theta | d_spacing | I (rel.) | (hkl) |
| --- | --- | --- | --- |
| 22.76 | 3.907 | 1000 | 1 0 1 |
| 24.58 | 3.622 | 627 | 1 1 0 |
| 29.57 | 3.021 | 218 | 0 0 2 |
| 35.04 | 2.561 | 280 | 2 0 0 |
| 38.82 | 2.320 | 385 | 1 1 2 |
| 42.19 | 2.142 | 418 | 2 1 1 |
| 46.48 | 1.954 | 255 | 2 0 2 |
| 48.57 | 1.874 | 141 | 1 0 3 |
| 61.30 | 1.512 | 172 | 0 0 4 |
| 65.37 | 1.428 | 168 | 3 1 2 |

***

# NaCuI3O9
Simulated X-ray diffraction stick pattern, Cu Ka. Input: the PBE geometry in Alexandria.
Kinematic intensities with the Lorentz-polarization factor, no thermal factor.

Structure:
```
data_NaCuI3O9
_cell_length_a 7.4750
_cell_length_b 7.9750
_cell_length_c 8.2138
_cell_angle_alpha 70.59
_cell_angle_beta 73.66
_cell_angle_gamma 80.67
_symmetry_space_group_name_H-M 'P -1'
_symmetry_Int_Tables_number 2
_symmetry_space_group_name_Hall '-P 1'
loop_
_atom_site_label
_atom_site_type_symbol
_atom_site_fract_x
_atom_site_fract_y
_atom_site_fract_z
_atom_site_occupancy
Na1 Na 0.1982 0.2822 0.3725 1
Cu1 Cu 0.5000 0.5000 0.0000 1
Cu2 Cu 0.5000 0.5000 0.5000 1
I1 I 0.2038 0.2854 0.9078 1
I2 I 0.2348 0.7674 0.2602 1
I3 I 0.2515 0.8524 0.7152 1
O1 O 0.0208 0.2127 0.6855 1
O2 O 0.0476 0.7174 0.7959 1
O3 O 0.2063 0.0454 0.9914 1
O4 O 0.2527 0.9519 0.4789 1
O5 O 0.2537 0.5589 0.4465 1
O6 O 0.2692 0.6529 0.0868 1
O7 O 0.3389 0.3112 0.0558 1
O8 O 0.4067 0.2920 0.7110 1
O9 O 0.4424 0.6772 0.7012 1
```

Most intense lines, 10 to 80 degrees two-theta, sorted by position:
| two_theta | d_spacing | I (rel.) | (hkl) |
| --- | --- | --- | --- |
| 16.46 | 5.384 | 732 | 1 1 0 |
| 22.79 | 3.902 | 565 | 1 1 2 |
| 23.72 | 3.751 | 803 | 0 2 0 |
| 23.89 | 3.725 | 452 | 1 1 -1 |
| 24.90 | 3.577 | 1000 | 2 0 0 |
| 27.45 | 3.250 | 590 | 1 2 2 |
| 27.68 | 3.222 | 649 | 1 -2 0 |
| 29.32 | 3.047 | 909 | -1 1 2 |
| 29.65 | 3.013 | 460 | 0 1 -2 |
| 44.24 | 2.047 | 451 | 1 1 4 |

***

# MnGaFe14
Simulated X-ray diffraction stick pattern, Cu Ka. Input: the PBE geometry in Alexandria.
Kinematic intensities with the Lorentz-polarization factor, no thermal factor.

Structure:
```
data_MnGaFe14
_cell_length_a 5.6972
_cell_length_b 8.0495
_cell_length_c 8.0637
_cell_angle_alpha 90.00
_cell_angle_beta 90.00
_cell_angle_gamma 90.00
_symmetry_space_group_name_H-M 'C m m m'
_symmetry_Int_Tables_number 65
_symmetry_space_group_name_Hall '-C 2 2'
loop_
_atom_site_label
_atom_site_type_symbol
_atom_site_fract_x
_atom_site_fract_y
_atom_site_fract_z
_atom_site_occupancy
Mn1 Mn 0.0000 0.0000 0.0000 1
Ga1 Ga 0.0000 0.5000 0.0000 1
Fe1 Fe 0.0000 0.0000 0.5000 1
Fe2 Fe 0.0000 0.2517 0.2491 1
Fe3 Fe 0.0000 0.5000 0.5000 1
Fe4 Fe 0.2455 0.0000 0.2535 1
Fe5 Fe 0.2500 0.2500 0.0000 1
Fe6 Fe 0.2500 0.2500 0.5000 1
```

Most intense lines, 10 to 80 degrees two-theta, sorted by position:
| two_theta | d_spacing | I (rel.) | (hkl) |
| --- | --- | --- | --- |
| 45.01 | 2.014 | 1000 | 2 2 2 |
| 65.54 | 1.424 | 147 | 4 0 0 |

***

# K2CdIn
Simulated X-ray diffraction stick pattern, Cu Ka. Input: the PBE geometry in Alexandria.
Kinematic intensities with the Lorentz-polarization factor, no thermal factor.

Structure:
```
data_K2CdIn
_cell_length_a 4.0598
_cell_length_b 4.1194
_cell_length_c 9.9377
_cell_angle_alpha 90.00
........
Wanted
Search the calculation results further above for the word "two-theta" and quote each line that has it, please.
Completed
Most intense lines, 10 to 80 degrees two-theta, sorted by position:
Most intense lines, 10 to 80 degrees two-theta, sorted by position:
Most intense lines, 10 to 80 degrees two-theta, sorted by position: